Entries >
********
[1]
{
  "formula": "C4H6FNOS",
  "method": "ωB97M-V/def2-TZVPD",
  "species": ["C", "C", "C", "C", "H", "H", "H", "H", "H", "H", "N", "O", "F", "S"],
  "coordinates": [[1.76369, -0.58219, -2.14022], [-0.43230, -0.23487, -1.09307], [-0.02501, 0.14559, 0.14533], [-0.74564, -0.11501, 1.38295], [1.95568, -1.22148, -1.27477], [2.30114, 0.37288, -2.25135], [2.06727, -1.04355, -3.10808], [-1.88301, -0.59676, -2.50261], [-2.45774, -0.48513, -0.86071], [-1.55766, -0.86520, 1.33949], [-1.67647, -0.54550, -1.52561], [0.35651, -0.26449, -2.16631], [1.19996, 0.69055, 0.20265], [-0.35666, 0.51735, 2.81713]],
  "mol_weight_g_mol": 135.163,
  "orbital_gap_ha": 0.2926,
  "e_above_lowest_kcal_mol": 50.9,
  "total_charge": 0,
  "total_energy_ha": -783.99889,
  "smiles": "CO/C(N)=C(\\F)C=S",
  "homo_ev": -8.009
}

=====

[2]
{
  "formula": "C5H3N",
  "method": "ωB97M-V/def2-TZVPD",
  "species": ["C", "C", "C", "C", "C", "N", "H", "H", "H"],
  "coordinates": [[-1.70722, 0.45583, -0.59493], [-0.45053, 0.54130, -0.07579], [-0.11260, -1.17765, -0.02041], [1.02565, 0.54017, -0.35821], [-1.34363, -0.42587, 0.56625], [1.05657, -0.93556, -0.34783], [1.45408, 0.91065, -1.24533], [1.66467, 0.87667, 0.46903], [-1.58699, -0.78553, 1.60723]],
  "mol_weight_g_mol": 77.086,
  "orbital_gap_ha": 0.3160,
  "e_above_lowest_kcal_mol": 134.6,
  "total_charge": 0,
  "total_energy_ha": -246.76758,
  "homo_ev": -8.883
}

* * * * *

Density functional theory data (wB97M-V/def2-TZVPD) for a molecular structure, C31H47NO2P2S2Ti in a non-equilibrium geometry.

```
86
Properties=species:S:1:pos:R:3:forces:R:3
Ti -0.45787 0.47370 -2.74071 -2.8 2.6 5.2
C -0.46252 -2.68957 1.57902 3.5 -1.8 -3.9
C 0.89879 -2.69804 1.14581 -5.1 -2.0 -0.8
C 0.72783 -1.31739 2.99463 0.5 -0.6 -0.7
C -0.56529 -1.83492 2.71204 1.2 2.6 1.9
C 1.61805 -1.81279 1.99986 -0.1 2.5 3.2
C -1.60784 -3.46614 1.06044 -0.3 -0.4 0.2
H -1.30140 -4.21899 0.33579 0.0 0.1 0.2
H -2.36856 -2.81534 0.59980 0.2 -0.1 0.2
H -2.09929 -3.99614 1.88949 0.0 0.1 -0.2
C -1.80592 -1.57889 3.47641 -0.4 0.0 -0.1
H -2.70045 -1.82586 2.88881 0.3 0.0 0.1
H -1.88833 -0.52186 3.76064 0.2 -0.3 0.0
H -1.85863 -2.17182 4.40560 0.3 0.1 -0.2
C 1.10139 -0.52959 4.18321 0.2 0.4 0.5
H 1.61975 -1.16332 4.91469 -0.1 0.1 0.0
H 0.21389 -0.12059 4.67310 0.1 0.0 0.0
H 1.75800 0.31512 3.96751 -0.1 -0.1 -0.1
C 3.05975 -1.49827 1.92280 0.4 0.0 -0.1
H 3.64033 -2.09100 2.65410 -0.3 0.1 -0.1
H 3.24762 -0.43911 2.15306 -0.2 -0.4 0.1
H 3.48464 -1.71709 0.93407 -0.2 0.0 0.3
C 1.53324 -3.56035 0.11394 0.0 -0.1 -0.2
H 2.07215 -4.39981 0.57520 0.0 0.2 0.0
H 2.26643 -2.99810 -0.47319 -0.1 0.0 0.0
H 0.80720 -3.99849 -0.57416 0.1 0.0 0.2
C -1.64985 0.65997 -4.23064 -1.0 0.1 0.9
C -1.92123 -0.85837 -4.08880 -1.5 -0.5 -1.3
C -0.97392 -1.75495 -4.91786 0.2 -0.7 0.2
C 0.55445 -1.58803 -4.67835 -0.3 -0.4 0.1
C 0.95550 -0.71964 -3.50289 2.7 -0.2 -1.5
C 1.26947 0.65627 -3.72834 3.1 -1.6 -0.7
C 0.79400 1.46991 -4.88638 -0.2 0.4 -0.4
C -0.73190 1.28763 -5.22799 -0.1 0.3 -2.0
H -1.13821 -1.61540 -5.99325 -0.4 0.0 0.3
H 1.01286 -1.20483 -5.59435 0.0 0.1 0.2
H -1.20229 -2.80211 -4.67010 -0.3 0.3 -0.4
H -0.78677 0.71942 -6.17725 0.0 0.3 0.4
H -2.40281 1.32250 -3.77005 -0.2 -0.3 -0.6
H -2.95638 -1.14847 -4.36574 0.4 0.6 -0.7
H -1.10229 2.29558 -5.47067 0.0 -0.4 0.0
H 0.99643 2.52747 -4.64157 -0.2 -0.4 -0.1
H 2.08658 1.10437 -3.16471 -0.5 0.0 0.2
H 1.35136 1.28038 -5.83266 -0.1 -0.1 0.7
H 1.01954 -2.58090 -4.52276 -0.3 0.4 -0.1
H 1.45165 -1.24931 -2.67135 0.0 0.5 -0.3
P -2.16233 -1.34602 -2.28015 2.7 1.9 -0.3
P 2.24029 1.11643 -0.09126 -0.7 -0.3 -0.8
C -0.08283 2.29046 -1.64409 -0.6 -0.5 -1.1
C 1.23027 2.48544 -0.92293 0.9 -0.1 0.6
H -0.93003 2.44754 -0.95690 0.2 0.0 -0.4
H -0.16535 3.04795 -2.45842 0.0 -0.2 0.3
H 1.97483 2.98788 -1.55291 -0.2 0.2 0.0
H 1.04931 3.08266 -0.01677 0.1 0.1 -0.5
C 3.22916 2.22524 0.93592 0.0 0.2 0.5
H 3.93021 1.62345 1.52378 0.1 0.3 0.0
H 2.54396 2.74894 1.60829 0.6 -0.1 -0.2
H 3.75922 2.94175 0.29831 0.1 -0.1 0.2
********
Assignment >
Could you restate everything further up character by character?
Worked solution >
[1]
{
  "formula": "C4H6FNOS",
  "method": "ωB97M-V/def2-TZVPD",
  "species": ["C", "C", "C", "C", "H", "H", "H", "H", "H", "H", "N", "O", "F", "S"],
  "coordinates": [[1.76369, -0.58219, -2.14022], [-0.43230, -0.23487, -1.09307], [-0.02501, 0.14559, 0.14533], [-0.74564, -0.11501, 1.38295], [1.95568, -1.22148, -1.27477], [2.30114, 0.37288, -2.25135], [2.06727, -1.04355, -3.10808], [-1.88301, -0.59676, -2.50261], [-2.45774, -0.48513, -0.86071], [-1.55766, -0.86520, 1.33949], [-1.67647, -0.54550, -1.52561], [0.35651, -0.26449, -2.16631], [1.19996, 0.69055, 0.20265], [-0.35666, 0.51735, 2.81713]],
  "mol_weight_g_mol": 135.163,
  "orbital_gap_ha": 0.2926,
  "e_above_lowest_kcal_mol": 50.9,
  "total_charge": 0,
  "total_energy_ha": -783.99889,
  "smiles": "CO/C(N)=C(\\F)C=S",
  "homo_ev": -8.009
}

=====

[2]
{
  "formula": "C5H3N",
  "method": "ωB97M-V/def2-TZVPD",
  "species": ["C", "C", "C", "C", "C", "N", "H", "H", "H"],
  "coordinates": [[-1.70722, 0.45583, -0.59493], [-0.45053, 0.54130, -0.07579], [-0.11260, -1.17765, -0.02041], [1.02565, 0.54017, -0.35821], [-1.34363, -0.42587, 0.56625], [1.05657, -0.93556, -0.34783], [1.45408, 0.91065, -1.24533], [1.66467, 0.87667, 0.46903], [-1.58699, -0.78553, 1.60723]],
  "mol_weight_g_mol": 77.086,
  "orbital_gap_ha": 0.3160,
  "e_above_lowest_kcal_mol": 134.6,
  "total_charge": 0,
  "total_energy_ha": -246.76758,
  "homo_ev": -8.883
}

* * * * *

Density functional theory data (wB97M-V/def2-TZVPD) for a molecular structure, C31H47NO2P2S2Ti in a non-equilibrium geometry.

```
86
Properties=species:S:1:pos:R:3:forces:R:3
Ti -0.45787 0.47370 -2.74071 -2.8 2.6 5.2
C -0.46252 -2.68957 1.57902 3.5 -1.8 -3.9
C 0.89879 -2.69804 1.14581 -5.1 -2.0 -0.8
C 0.72783 -1.31739 2.99463 0.5 -0.6 -0.7
C -0.56529 -1.83492 2.71204 1.2 2.6 1.9
C 1.61805 -1.81279 1.99986 -0.1 2.5 3.2
C -1.60784 -3.46614 1.06044 -0.3 -0.4 0.2
H -1.30140 -4.21899 0.33579 0.0 0.1 0.2
H -2.36856 -2.81534 0.59980 0.2 -0.1 0.2
H -2.09929 -3.99614 1.88949 0.0 0.1 -0.2
C -1.80592 -1.57889 3.47641 -0.4 0.0 -0.1
H -2.70045 -1.82586 2.88881 0.3 0.0 0.1
H -1.88833 -0.52186 3.76064 0.2 -0.3 0.0
H -1.85863 -2.17182 4.40560 0.3 0.1 -0.2
C 1.10139 -0.52959 4.18321 0.2 0.4 0.5
H 1.61975 -1.16332 4.91469 -0.1 0.1 0.0
H 0.21389 -0.12059 4.67310 0.1 0.0 0.0
H 1.75800 0.31512 3.96751 -0.1 -0.1 -0.1
C 3.05975 -1.49827 1.92280 0.4 0.0 -0.1
H 3.64033 -2.09100 2.65410 -0.3 0.1 -0.1
H 3.24762 -0.43911 2.15306 -0.2 -0.4 0.1
H 3.48464 -1.71709 0.93407 -0.2 0.0 0.3
C 1.53324 -3.56035 0.11394 0.0 -0.1 -0.2
H 2.07215 -4.39981 0.57520 0.0 0.2 0.0
H 2.26643 -2.99810 -0.47319 -0.1 0.0 0.0
H 0.80720 -3.99849 -0.57416 0.1 0.0 0.2
C -1.64985 0.65997 -4.23064 -1.0 0.1 0.9
C -1.92123 -0.85837 -4.08880 -1.5 -0.5 -1.3
C -0.97392 -1.75495 -4.91786 0.2 -0.7 0.2
C 0.55445 -1.58803 -4.67835 -0.3 -0.4 0.1
C 0.95550 -0.71964 -3.50289 2.7 -0.2 -1.5
C 1.26947 0.65627 -3.72834 3.1 -1.6 -0.7
C 0.79400 1.46991 -4.88638 -0.2 0.4 -0.4
C -0.73190 1.28763 -5.22799 -0.1 0.3 -2.0
H -1.13821 -1.61540 -5.99325 -0.4 0.0 0.3
H 1.01286 -1.20483 -5.59435 0.0 0.1 0.2
H -1.20229 -2.80211 -4.67010 -0.3 0.3 -0.4
H -0.78677 0.71942 -6.17725 0.0 0.3 0.4
H -2.40281 1.32250 -3.77005 -0.2 -0.3 -0.6
H -2.95638 -1.14847 -4.36574 0.4 0.6 -0.7
H -1.10229 2.29558 -5.47067 0.0 -0.4 0.0
H 0.99643 2.52747 -4.64157 -0.2 -0.4 -0.1
H 2.08658 1.10437 -3.16471 -0.5 0.0 0.2
H 1.35136 1.28038 -5.83266 -0.1 -0.1 0.7
H 1.01954 -2.58090 -4.52276 -0.3 0.4 -0.1
H 1.45165 -1.24931 -2.67135 0.0 0.5 -0.3
P -2.16233 -1.34602 -2.28015 2.7 1.9 -0.3
P 2.24029 1.11643 -0.09126 -0.7 -0.3 -0.8
C -0.08283 2.29046 -1.64409 -0.6 -0.5 -1.1
C 1.23027 2.48544 -0.92293 0.9 -0.1 0.6
H -0.93003 2.44754 -0.95690 0.2 0.0 -0.4
H -0.16535 3.04795 -2.45842 0.0 -0.2 0.3
H 1.97483 2.98788 -1.55291 -0.2 0.2 0.0
H 1.04931 3.08266 -0.01677 0.1 0.1 -0.5
C 3.22916 2.22524 0.93592 0.0 0.2 0.5
H 3.93021 1.62345 1.52378 0.1 0.3 0.0
H 2.54396 2.74894 1.60829 0.6 -0.1 -0.2
H 3.75922 2.94175 0.29831 0.1 -0.1 0.2